Data
-- begin --
1.
15
Properties=species:S:1:pos:R:3:forces:R:3:mulliken_charge:R:1 method="wB97M-V/def2-TZVPD" total_charge=0 relative_energy_ev=6.413 lumo_ev=0.85 spin_multiplicity=1 energy_ev=-9299.97997
C -1.7796 -0.6618 -0.2558 -0.026 -0.073 -0.033 -1.3165
C -0.6452 0.2949 -0.5622 -0.236 -0.025 -0.374 0.4959
N -0.5771 1.4741 0.3384 -0.418 -0.136 -0.094 -0.4201
C 0.6833 1.1224 0.7988 2.235 -0.020 -2.563 -0.4840
C 0.7328 -0.1479 -0.0690 -1.395 -0.637 2.348 0.3341
N 1.1721 -1.3599 -0.0821 0.286 1.072 -1.122 -0.6457
O 2.4689 -1.4095 0.4788 -0.035 -0.338 0.627 -0.4244
H -2.7482 -0.1904 -0.4613 0.186 -0.073 0.038 0.3560
H -1.7424 -0.9579 0.7975 -0.015 0.060 -0.185 0.3257
H -1.6830 -1.5607 -0.8730 -0.014 0.130 0.105 0.3093
H -0.6575 0.6023 -1.6139 0.098 -0.059 0.075 0.3053
H -0.7659 2.3924 -0.0579 0.211 -0.239 0.178 0.2615
H 1.2402 1.7032 1.5380 0.113 -0.765 -0.194 0.4206
H 1.6256 1.0510 -0.3961 -0.988 0.800 1.160 0.1218
H 2.6759 -2.3523 0.4197 0.000 0.302 0.034 0.3608


2.
14
Properties=species:S:1:pos:R:3:forces:R:3:mulliken_charge:R:1 method="wB97M-V/def2-TZVPD" total_charge=0 relative_energy_ev=3.377 lumo_ev=0.81 spin_multiplicity=1 energy_ev=-10410.03223
C -0.2001 0.9904 0.6326 -0.588 0.152 0.416 -0.3689
C -1.4603 1.3010 0.7426 -0.636 1.544 1.415 0.5410
C 0.5017 -0.1961 1.1906 2.540 1.323 0.294 -0.6447
C 1.0865 -0.9566 0.0127 0.549 -1.886 -1.348 -0.5462
C -0.6133 0.7025 -0.7828 4.042 -1.716 -1.605 -0.1658
C 0.2778 -0.5208 -1.1944 -0.281 2.551 -1.387 -0.0916
O -2.4995 1.7559 0.5225 -1.240 0.286 0.716 -0.4273
O -1.1116 -0.5643 -0.9701 -1.499 -1.448 -0.793 -0.4303
H 1.3654 0.1216 1.8063 -0.734 -0.261 0.278 0.2480
H -0.2049 -0.7652 1.7190 -0.422 -1.036 0.895 0.3683
H 2.1866 -0.9466 -0.2250 -0.959 0.889 0.550 0.3378
H 0.9645 -2.0386 0.2405 -0.274 0.424 -0.466 0.2579
H -0.8715 1.5350 -1.3904 -0.324 0.151 -0.925 0.5719
H 0.5786 -0.4181 -2.3040 -0.174 -0.971 1.961 0.3500


3.
8
Properties=species:S:1:pos:R:3:forces:R:3:mulliken_charge:R:1 method="wB97M-V/def2-TZVPD" total_charge=+1 relative_energy_ev=0.653 lumo_ev=-7.50 spin_multiplicity=1 energy_ev=-10735.98455
C -1.0278 1.7373 -0.9239 0.518 0.956 -0.390 0.1786
N 1.7356 3.5122 -0.3432 -0.096 1.206 1.400 1.3921
O 2.4751 3.1844 -1.0991 -0.002 -0.443 -0.440 -0.1948
O 1.1069 3.9494 0.4740 0.488 -0.475 -0.662 -0.1921
O 0.1905 -0.1807 -0.2123 -1.836 -1.216 2.915 -0.6601
O -0.1326 2.4289 -1.1146 -1.187 -0.894 -0.060 -0.2188
H -0.4167 -0.6587 0.5143 2.132 1.409 -2.632 0.3664
H 0.4516 -0.8541 -0.8382 -0.017 -0.542 -0.132 0.3287


4.
63
Properties=species:S:1:pos:R:3:forces:R:3:mulliken_charge:R:1 method="wB97M-V/def2-TZVPD" total_charge=+1 relative_energy_ev=1.221 lumo_ev=-1.99 spin_multiplicity=1 energy_ev=-44828.97733
Pt -0.7130 0.5958 -0.6370 -0.454 0.387 0.015 2.5383
C 1.8049 0.1887 -3.2303 0.014 -0.114 -0.230 -1.4920
N 1.8449 1.2472 -2.2983 0.294 0.554 0.325 -0.0398
C 2.8651 1.2814 -1.2982 -0.217 -0.005 0.183 -1.1789
C 2.3242 1.2554 0.1127 0.295 0.112 -0.195 -0.0776
N 1.0745 1.1714 0.4817 -0.184 -0.275 -0.168 -0.3541
C 1.0652 1.3197 1.8703 0.322 0.175 0.345 0.1832
C 0.0199 1.3948 2.7923 0.052 0.001 -0.095 0.3982
C 0.3453 1.5772 4.1206 -0.035 0.005 0.031 -1.1380
C 1.6747 1.6936 4.5481 0.046 -0.008 0.025 -0.5865
C 2.7218 1.6476 3.6511 0.011 -0.010 -0.027 -1.1217
C 2.3857 1.4681 2.3150 -0.185 0.002 -0.042 0.5553
N 3.1591 1.4194 1.1681 -0.065 0.003 -0.017 -0.0768
C 1.0469 -0.9988 -2.7357 -0.272 -0.422 0.158 0.4543
N 0.0553 -1.0217 -1.8706 0.284 -0.079 0.001 0.1250
C -0.4056 -2.3462 -1.8600 -0.156 -0.028 0.094 0.3640
C -1.4930 -2.9330 -1.2087 0.234 0.089 -0.040 -0.2883
C -1.7014 -4.2824 -1.4078 -0.170 0.103 0.147 -0.9321
C -0.8710 -5.0416 -2.2362 0.065 -0.170 -0.129 -0.5216
C 0.1845 -4.4722 -2.9141 0.059 0.039 -0.045 -1.0522
C 0.3890 -3.1112 -2.7156 -0.354 -0.285 0.221 0.4119
N 1.2975 -2.2314 -3.2434 0.304 0.388 -0.232 -0.0955
H 2.8076 -0.1574 -3.5148 0.035 0.049 -0.062 0.4500
H 1.3296 0.5334 -4.1510 -0.048 -0.027 -0.027 0.3974
H 1.4162 2.1170 -2.5547 0.041 -0.008 -0.005 0.2010
-- stop --

What to do
The reader should set down all of the listing above without altering anything.

Worked solution
1.
15
Properties=species:S:1:pos:R:3:forces:R:3:mulliken_charge:R:1 method="wB97M-V/def2-TZVPD" total_charge=0 relative_energy_ev=6.413 lumo_ev=0.85 spin_multiplicity=1 energy_ev=-9299.97997
C -1.7796 -0.6618 -0.2558 -0.026 -0.073 -0.033 -1.3165
C -0.6452 0.2949 -0.5622 -0.236 -0.025 -0.374 0.4959
N -0.5771 1.4741 0.3384 -0.418 -0.136 -0.094 -0.4201
C 0.6833 1.1224 0.7988 2.235 -0.020 -2.563 -0.4840
C 0.7328 -0.1479 -0.0690 -1.395 -0.637 2.348 0.3341
N 1.1721 -1.3599 -0.0821 0.286 1.072 -1.122 -0.6457
O 2.4689 -1.4095 0.4788 -0.035 -0.338 0.627 -0.4244
H -2.7482 -0.1904 -0.4613 0.186 -0.073 0.038 0.3560
H -1.7424 -0.9579 0.7975 -0.015 0.060 -0.185 0.3257
H -1.6830 -1.5607 -0.8730 -0.014 0.130 0.105 0.3093
H -0.6575 0.6023 -1.6139 0.098 -0.059 0.075 0.3053
H -0.7659 2.3924 -0.0579 0.211 -0.239 0.178 0.2615
H 1.2402 1.7032 1.5380 0.113 -0.765 -0.194 0.4206
H 1.6256 1.0510 -0.3961 -0.988 0.800 1.160 0.1218
H 2.6759 -2.3523 0.4197 0.000 0.302 0.034 0.3608


2.
14
Properties=species:S:1:pos:R:3:forces:R:3:mulliken_charge:R:1 method="wB97M-V/def2-TZVPD" total_charge=0 relative_energy_ev=3.377 lumo_ev=0.81 spin_multiplicity=1 energy_ev=-10410.03223
C -0.2001 0.9904 0.6326 -0.588 0.152 0.416 -0.3689
C -1.4603 1.3010 0.7426 -0.636 1.544 1.415 0.5410
C 0.5017 -0.1961 1.1906 2.540 1.323 0.294 -0.6447
C 1.0865 -0.9566 0.0127 0.549 -1.886 -1.348 -0.5462
C -0.6133 0.7025 -0.7828 4.042 -1.716 -1.605 -0.1658
C 0.2778 -0.5208 -1.1944 -0.281 2.551 -1.387 -0.0916
O -2.4995 1.7559 0.5225 -1.240 0.286 0.716 -0.4273
O -1.1116 -0.5643 -0.9701 -1.499 -1.448 -0.793 -0.4303
H 1.3654 0.1216 1.8063 -0.734 -0.261 0.278 0.2480
H -0.2049 -0.7652 1.7190 -0.422 -1.036 0.895 0.3683
H 2.1866 -0.9466 -0.2250 -0.959 0.889 0.550 0.3378
H 0.9645 -2.0386 0.2405 -0.274 0.424 -0.466 0.2579
H -0.8715 1.5350 -1.3904 -0.324 0.151 -0.925 0.5719
H 0.5786 -0.4181 -2.3040 -0.174 -0.971 1.961 0.3500


3.
8
Properties=species:S:1:pos:R:3:forces:R:3:mulliken_charge:R:1 method="wB97M-V/def2-TZVPD" total_charge=+1 relative_energy_ev=0.653 lumo_ev=-7.50 spin_multiplicity=1 energy_ev=-10735.98455
C -1.0278 1.7373 -0.9239 0.518 0.956 -0.390 0.1786
N 1.7356 3.5122 -0.3432 -0.096 1.206 1.400 1.3921
O 2.4751 3.1844 -1.0991 -0.002 -0.443 -0.440 -0.1948
O 1.1069 3.9494 0.4740 0.488 -0.475 -0.662 -0.1921
O 0.1905 -0.1807 -0.2123 -1.836 -1.216 2.915 -0.6601
O -0.1326 2.4289 -1.1146 -1.187 -0.894 -0.060 -0.2188
H -0.4167 -0.6587 0.5143 2.132 1.409 -2.632 0.3664
H 0.4516 -0.8541 -0.8382 -0.017 -0.542 -0.132 0.3287


4.
63
Properties=species:S:1:pos:R:3:forces:R:3:mulliken_charge:R:1 method="wB97M-V/def2-TZVPD" total_charge=+1 relative_energy_ev=1.221 lumo_ev=-1.99 spin_multiplicity=1 energy_ev=-44828.97733
Pt -0.7130 0.5958 -0.6370 -0.454 0.387 0.015 2.5383
C 1.8049 0.1887 -3.2303 0.014 -0.114 -0.230 -1.4920
N 1.8449 1.2472 -2.2983 0.294 0.554 0.325 -0.0398
C 2.8651 1.2814 -1.2982 -0.217 -0.005 0.183 -1.1789
C 2.3242 1.2554 0.1127 0.295 0.112 -0.195 -0.0776
N 1.0745 1.1714 0.4817 -0.184 -0.275 -0.168 -0.3541
C 1.0652 1.3197 1.8703 0.322 0.175 0.345 0.1832
C 0.0199 1.3948 2.7923 0.052 0.001 -0.095 0.3982
C 0.3453 1.5772 4.1206 -0.035 0.005 0.031 -1.1380
C 1.6747 1.6936 4.5481 0.046 -0.008 0.025 -0.5865
C 2.7218 1.6476 3.6511 0.011 -0.010 -0.027 -1.1217
C 2.3857 1.4681 2.3150 -0.185 0.002 -0.042 0.5553
N 3.1591 1.4194 1.1681 -0.065 0.003 -0.017 -0.0768
C 1.0469 -0.9988 -2.7357 -0.272 -0.422 0.158 0.4543
N 0.0553 -1.0217 -1.8706 0.284 -0.079 0.001 0.1250
C -0.4056 -2.3462 -1.8600 -0.156 -0.028 0.094 0.3640
C -1.4930 -2.9330 -1.2087 0.234 0.089 -0.040 -0.2883
C -1.7014 -4.2824 -1.4078 -0.170 0.103 0.147 -0.9321
C -0.8710 -5.0416 -2.2362 0.065 -0.170 -0.129 -0.5216
C 0.1845 -4.4722 -2.9141 0.059 0.039 -0.045 -1.0522
C 0.3890 -3.1112 -2.7156 -0.354 -0.285 0.221 0.4119
N 1.2975 -2.2314 -3.2434 0.304 0.388 -0.232 -0.0955
H 2.8076 -0.1574 -3.5148 0.035 0.049 -0.062 0.4500
H 1.3296 0.5334 -4.1510 -0.048 -0.027 -0.027 0.3974
H 1.4162 2.1170 -2.5547 0.041 -0.008 -0.005 0.2010